Congratulations to Emily Ong, a passionate advocate who has made prominence in the global dementia community. As one of the newly-elected members on Dementia Alliance International’s (DAI) Board of Directors, she shares how her advocacy started and her hopes to make an impact for those affected by the condition.
By Emily Ong, Dementia Advocate, and newly-elected member on DAI’s Board of Directors
I joined Dementia Alliance International (DAI) in August 2019 after I heard about Kate Swaffer from my discussion with Ruth Wong, ADA’s Voices for Hope Programme Manager. It is inspiring and motivating to know a global organisation meant for and run by people living with dementia. I would say that it is the best testimony of the ability and capacity of people living with dementia.
My first article contribution for the DAI blog was in conjunction with World Alzheimer’s Month #WAM2019. “#Hello, My name is Emily Ong” was published on Day 9 of Dementia Awareness Month/ World Alzheimer’s Month. It was a heroic act and marked the beginning of the first page of the first chapter of my journey as a dementia advocate.
Hello, my name is Emily Ong
June 2017 (the exact date I could not remember already) I had the scariest experience of my life when I asked myself – “What do I need to make French toast?” – when it has always been my family’s usual breakfast. All that I remembered was bread, and that the equipment I needed was a skillet.
I tried so hard to recall but NOTHING was retrieved.
– Excerpt from ‘#Hello, My Name is Emily Ong’
Since then, my advocacy journey has been sailing wide and far with the support of Kate Swaffer, the co-founder, past Chair, and current CEO of DAI, who has been mentoring me all this time. To me, advocacy is using your story and lived experiences as a person living with an invisible disability that is highly stigmatised, discriminated against, and heavily patronised, to call for social change and action to make life better for people living with dementia.
I gave myself two years to grow as an advocate and sharpen my advocacy skills and knowledge. I started with my Facebook Page – Living with mild cognitive impairment & YOD, where I write about what life is like living with dementia, coping strategies, and share information on dementia. When ADA invited me to co-facilitate their step-up programme, Voices for Hope, I took it up and have since co-designed the content and co-facilitated four cohorts. To me, having a dementia advocate involved in the planning and facilitation of a programme is critical to achieving the programme’s goal of encouraging people living with and affected by dementia to step up. It is also about embracing an inclusive work culture within ADA to ‘walk the talk’ of including persons living with dementia in the workforce.
Over time with the support of Kate Swaffer and DY Surhaya, the Regional Director of Alzheimer’s Disease International (ADI) Asia Pacific Region, I began to step up my advocacy at the regional and global levels. I am involved in the World Health Organization’s Global Dementia Observatory Knowledge Exchange Focus Group, ADI Accreditation Global Review Panel, and was recently invited to be in the Scientific Programme Committee for the ADI 2022 Conference. Moreover, my exposure at the ADI 2020 Conference as a keynote speaker and delivering the opening speech on HOPE, has greatly shaped my advocacy path. I have become more knowledgeable about the United Nations Convention on the Rights of Persons with Disabilities (UNCRPD), accessibility, and environmental design’s impact on quality of life.

At the launch of the World Alzheimer Report 2020 on 21 September 2020, I was inspired by Kate Swaffer’s call for action from the rhetoric of dementia-enabling design to the implementation of environmental design. The opportunity came when Associate Professor Habib Chaudhury, a visiting professor at the National University of Singapore, attended one of the sessions of Voices for Hope. He was interested in sharing his expertise in environmental design in building dementia-enabling environments.
With his support, I started a small global group – Environment & Dementia: Special Interest Group (DE-SiG) – in May where professionals from multidisciplinary fields and people living with dementia come together to provide expert advice and inputs on working towards a dementia-enabling design in the community to improve the quality of life for everyone, not limited to people living with dementia. There is a need to look into how the environment, including the natural, built, and communal environment, can be designed to provide tranquility; minimise impairments impact, activity limitation, and participation restrictions from dementia; and can be intentionally created to reflect the shared values of a community.
With all these involvements and working with others at the international level, I am confident and ready to take on the role as a member of DAI’s Board of Directors. DAI is a global group of, by and for people living with dementia, providing a unified voice of strength, support, and advocacy on the rights and autonomy of people living with dementia. It started with 8 people from 3 countries (the US, Canada, and Australia), and now DAI represents members all over the world. My hope and plan as a member of the Board of Directors are two-fold:
(Someone pasted molecular data at this point)
........
[1]
Entry from the Open Molecules 2025 dataset: an isolated molecule of C17H21N5O5S (ωB97M-V with the def2-TZVPD basis set).

Element x y z (Å)
C (-0.321, 0.740, -2.635)
N (-0.191, 0.637, -1.210)
C (0.624, -0.183, -0.482)
C (1.604, -1.132, -1.078)
O (2.598, -0.483, -1.854)
C (3.544, 0.265, -1.235)
C (4.500, 0.836, -2.085)
C (5.513, 1.609, -1.573)
C (5.582, 1.822, -0.198)
N (6.640, 2.626, 0.343)
O (6.672, 2.784, 1.546)
O (7.443, 3.100, -0.435)
C (4.636, 1.264, 0.652)
C (3.616, 0.487, 0.141)
N (0.418, -0.005, 0.792)
N (-0.540, 0.921, 0.937)
C (-0.909, 1.301, -0.263)
S (-2.105, 2.489, -0.665)
C (-2.858, 2.762, 0.973)
C (-3.789, 1.591, 1.274)
O (-4.974, 1.625, 1.018)
N (-3.158, 0.544, 1.841)
C (-3.780, -0.758, 1.876)
C (-3.659, -1.454, 0.503)
C (-4.061, -2.929, 0.575)
C (-2.755, -3.599, 1.014)
C (-1.668, -2.620, 0.534)
O (-2.322, -1.465, 0.032)
H (-1.127, 0.090, -2.983)
H (-0.561, 1.770, -2.899)
H (0.616, 0.449, -3.106)
H (2.049, -1.729, -0.276)
H (1.097, -1.798, -1.784)
H (4.420, 0.650, -3.144)
H (6.259, 2.054, -2.214)
H (4.708, 1.448, 1.713)
H (2.879, 0.077, 0.812)
H (-2.054, 2.865, 1.699)
H (-3.430, 3.682, 0.875)
H (-2.138, 0.559, 1.850)
H (-3.293, -1.349, 2.653)
H (-4.838, -0.628, 2.113)
H (-4.240, -0.880, -0.225)
H (-4.357, -3.278, -0.414)
H (-4.879, -3.098, 1.270)
H (-2.720, -3.708, 2.097)
H (-2.632, -4.584, 0.569)
H (-1.072, -3.032, -0.286)
H (-0.987, -2.336, 1.344)

Output
Gap between HOMO and LUMO, eV: 8.512
Molar mass, g/mol: 407.45
Lowest unoccupied orbital energy, eV: -0.3


[2]
Entry from the Open Molecules 2025 dataset: a cluster of 2 separate species, C5H8O2 in total (ωB97M-V with the def2-TZVPD basis set).

Element x y z (Å)
C (1.587, -1.203, 1.138)
C (0.310, -0.424, 1.229)
O (-0.882, -1.043, 0.887)
C (0.257, 0.828, 1.652)
O (0.203, 1.944, 2.013)
H (1.493, -2.137, 1.704)
H (1.817, -1.462, 0.097)
H (2.434, -0.640, 1.544)
H (-1.062, -0.818, -0.043)
C (-1.482, 0.391, -1.923)
C (-0.569, 1.251, -1.475)
H (-1.236, -0.368, -2.663)
H (-2.516, 0.431, -1.587)
H (0.460, 1.226, -1.825)
H (-0.814, 2.023, -0.749)

Output
Gap between HOMO and LUMO, eV: 9.341
Molar mass, g/mol: 100.12
Lowest unoccupied orbital energy, eV: 0.9


[3]
Entry from the Open Molecules 2025 dataset: a structure of composition C35H55CdN5O7S2SbSi3 (ωB97M-V with the def2-TZVPD basis set).

Element x y z (Å)
Cd (-1.218, 0.687, -0.315)
C (3.696, 1.547, 2.483)
C (2.655, 2.525, 2.879)
N (2.783, 3.442, 3.777)
N (1.546, 4.033, 3.798)
C (0.642, 3.508, 2.948)
S (-0.955, 3.934, 2.790)
N (1.386, 2.536, 2.333)
N (0.947, 1.698, 1.301)
H (4.540, 1.635, 3.162)
H (4.042, 1.727, 1.463)
H (3.294, 0.533, 2.528)
H (1.339, 4.765, 4.451)
H (0.636, 0.798, 1.706)
H (1.742, 1.518, 0.700)
O (-5.249, 0.004, -1.434)
C (-4.142, 0.223, -0.957)
O (-3.009, 0.185, -1.543)
C (-4.102, 0.553, 0.547)
C (-5.285, 0.727, 1.242)
C (-5.233, 1.001, 2.598)
C (-3.999, 1.087, 3.226)
C (-2.858, 0.905, 2.468)
N (-2.912, 0.639, 1.158)
H (-6.212, 0.645, 0.694)
H (-6.146, 1.145, 3.164)
H (-3.911, 1.296, 4.284)
........
(End of the molecular data)
- To provide an Asian voice from the Asia Pacific region in DAI; to give the global organisation a better representation of the diverse cultural communities it represents. The needs and voices of the non-English speaking dementia communities are underrepresented at the global level. The DE-SiG initiative is an example of how DAI hopes to bring in more experts, particularly from the Asia Pacific region to discuss and find ways to create an enabling environment that is culturally appropriate and needs sensitive.
- To grow the presence of DAI in the Asia Pacific region through a local cultural approach so that the support and resources of DAI can benefit a wider and more diverse range of global communities. The DAI SG peer-to-peer support (La Kopi, Lim Teh) is one such initiative where support is adapted to the local culture without compromising on the quality of the support rendered by DAI.
At DAI, we believe that by working together, we will identify concrete action for implementation with the international community, and in the process, ensure our human rights are being fully met. At the end of the day, we want people to know and recognise the importance of embracing “Nothing about us, without us” in initiatives intended for people living with dementia.